Today seemed to work very well; i’ve got out of the habit of going to work on a Monday as it just doesn’t seem to kick the week off very well. Instead, we made a plan of how we wanted the day to work, figured out what each of us needed to do in that time and then set about doing it.
TV went off early, before 9am and everyone was dressed then i gave everyone a spelling list; Fran uses Year 6 ones from a school site, Maddy Year 3 ones from a different school site (less per list, not so scary!) and i found some basic literacy ones for Ams. Josie ended up with some letter copying stuff from the never ending pile of workbooks i bought for Fran, about 7 years ago! She loved doing that though 🙂
We’ve got into this habit of spelling lists being writing practice, then Fran writes a story using the words and then types it up. She spent ages on hers today and got very into it, so much so that when it got to typing, she decided the beginning wasn’t good enough so she is rewriting it. As a structured bit of “English” it works quite well; the typing up is a good opportunity to try and tighten up the grammar and punctuation, she writes the lists in joined up and the story in print if she gets tired hands.
Today Maddy joined in too; lately she has said she hates writing (she always adored it when she was younger) but the idea grabbed her and she managed a whole A4 side of story too. It was very encouraging 🙂 As a ‘reward’ i set up a new blog for her 🙂 We also ordered some new “I Can Read” books – she picked Level 4 as she thought Level 3 was getting too easy now. 🙂
Amelie read; she was faking illness, so i made her lie on the sofa with books as a film would be “too tiring” i felt 😉 She miraculously recovered, until asked to do ETC, then felt achey, till i mentioned she’d be too poorly for gym, then did everything i asked her too at once!
Lunch, then we settled down to watch Ballet Shoes (2007 version with Emma Watson and Victoria Wood). Really good adaptation i thought, very little altered in the plot at all and no dumbing down to appease the political correctness of the 2000’s either. My children went into fits of horror when Sylvia lit up a fag!
Much discussion about who will be which Fossil; Fran wants to be Posy, but so does Amelie, Maddy wants to be Pauline and Petrova, Josie wants to be Petrova. Did point out i actually quite liked them as they were… but it fell on deaf ears…. 🙄
After that we had just a little time to work on the first scene of The BlueBird before going out.
As an aside, if i ran a drama week at a youth hostel, would anyone be interested? It would probably be aimed mostly at 7+ ish, i suppose but could be flexible and be “as normal” for most of the time but i’d rehearse a small play with them for a couple of hours morning and afternoon. What do you think?
Went to Jazz… girls very excited that belonging to this class means they’ll be in all 3 shows in November, picked up our embroidered BM/PM polo shirts, then dropped them at gym. Maddy has been moved up to the Gold group, so she is thrilled.
And now i have to go and do some work…. see you later 🙂
We’d definitely be up for a drama week, Charlie would love that. He’s is loving Stagecoach so much and works on scripts for the drama part every week as soon as he gets home. You would be so good at it too!
You must surely know madam would be delighted to join you. xx
I would be happy to help within the limits of my abilities. Bearing in mind how limited my abilities are!
I’m pretty sure D would be up for that 🙂
Drama week sounds a great idea. C would really enjoy it.
Mine would definitely be up for that – how many would depend on when! I will have to send you a copy of the programme Violet & Gwenny made for our recent HE group production – it’s hilarious 🙂
would like to say mine would be interested and I suppose A might do it, but I’m not sure. M def wouldn’t! We could be the audience though 😉
I can think of one small girl who would probably love to do a drama workshop!
I love the idea of spelling lists for handwriting and then story practice, have filed that away for when she finally admits to herself taht she can read and we can stop flogging that dead horse every day!
Where would you do it?
Not sure if mine would be up for it or not, but it would depend on location anyway…
Merry, just one word of warning: if Violet offers to write Fluffy Bunnies Part 3 for you to produce, say “no” 😆
Mine would be very interested.
Alison, giggle.
Alison, Sarah, if you can find out your half term dates for autumn term, i’ll see what i can do. Otherwise i might try a YH for very soon after Xmas, before school restarts. I think having Violet and Anna in the equation might be good! From this list, looks like i might have enough people to do it. I suspect i would try to find a YH we’ve already used though, so i know i’d have a room big enough to rehearse in.
Potentially would be very interested, I like that idea. F will be 7 this year. Depends where it is though – public transport, distance, etc.
Half term is Mon 27 – Fri 31 Oct – Sarah’s is the same, I’m sure, as we were already planning to do something together! And school starts again on Mon 5 Jan 2009.
There were squeals of excitement from all of them when I told them of your idea, and Violet thinks you are “very thoughtful” for thinking of her and the TRBs 🙂
Between two parts of the text: calculated molecules:
<<<
{"formula": "C17H17BrGa", "method": "ωB97M-V/def2-TZVPD", "species": ["C", "C", "C", "H", "C", "C", "H", "H", "H", "H", "Ga", "Br", "C", "C", "C", "H", "C", "C", "H", "H", "H", "H", "C", "C", "C", "C", "C", "C", "C", "H", "H", "H", "H", "H", "H", "H"], "coordinates": [[-0.5826, 0.2001, -3.4737], [0.1186, 1.2835, -2.9467], [1.4283, 0.8052, -2.4783], [-0.1949, 2.3244, -2.9127], [1.3947, -0.6568, -2.6716], [0.1875, -0.9880, -3.2915], [-0.1105, -1.9751, -3.6420], [-1.5437, 0.2419, -3.9854], [2.3401, 1.4078, -2.4806], [2.2118, -1.3241, -2.3981], [0.9971, 0.7253, -0.4388], [-0.3289, 2.3876, 0.3283], [-2.9240, -0.6756, 0.5254], [-2.8974, -1.7903, -0.3672], [-3.3961, -1.3511, -1.6306], [-2.5377, -2.7897, -0.1251], [-3.7312, 0.0336, -1.5191], [-3.4396, 0.4485, -0.1849], [-3.5576, 1.4528, 0.2119], [-2.6111, -0.6801, 1.5701], [-3.5098, -1.9696, -2.5184], [-4.1161, 0.6632, -2.3169], [0.8926, -0.8704, 0.7605], [1.6398, -0.3600, 1.9536], [2.8404, 0.3641, 1.7634], [3.2744, 1.2410, 2.7633], [2.5895, 1.3041, 3.9849], [1.5481, 0.4015, 4.2486], [1.0775, -0.4352, 3.2391], [-0.1602, -1.0958, 0.9813], [1.3524, -1.7256, 0.2672], [3.3970, 0.2544, 0.8242], [4.1404, 1.8856, 2.5855], [2.8945, 2.0163, 4.7533], [1.0848, 0.3546, 5.2354], [0.2318, -1.1078, 3.3857]], "mulliken_charge": [-0.303, -1.023, 0.203, 0.462, -0.879, -0.481, 0.403, 0.432, 0.586, 0.487, 0.165, -0.351, -0.541, -0.651, -0.621, 0.376, -0.559, -0.584, 0.445, 0.459, 0.416, 0.439, -0.496, 0.602, -0.555, -0.453, -0.533, -0.328, -0.568, 0.102, 0.427, 0.501, 0.353, 0.351, 0.348, 0.369], "charge": -1, "gap_ev": 4.82, "relative_energy_kcal_mol": 4.6, "e_homo_ev": -2.50, "energy_ha": -5156.773069, "lumo_ha": 0.0852, "mol_weight_g_mol": 370.95}


No. 1
Entry from the Open Molecules 2025 dataset: a cluster of 4 separate species, C5H16O3 in total at a distorted geometry (wB97M-V/def2-TZVPD).

Computed properties:
E_HOMO = -0.3423 Eh
SMILES = C/C=C/CC.O.O.O
Kohn-Sham gap = 9.8322 eV
Energy relative to the best compared isomer or geometry (same formula, charge and spin) = 0.565 eV

The geometry in XYZ format:
```
24
Properties=species:S:1:pos:R:3:forces:R:3:nbo_charge:R:1
C 2.53705 -0.37459 0.81349 0.05 -0.72 0.29 -0.608
C 2.16039 0.73306 1.78271 0.36 -0.12 -0.56 -0.434
C 0.81628 1.34225 1.54549 0.05 -0.08 0.42 -0.165
C -0.07736 0.99548 0.63197 -0.14 -0.09 -0.07 -0.206
C -1.33935 1.77006 0.43858 -0.46 0.90 0.42 -0.650
H 2.33392 -0.09497 -0.21171 0.08 0.07 -0.30 0.199
H 1.99355 -1.30318 1.02631 -0.23 0.25 -0.09 0.209
H 3.58374 -0.67272 0.90753 0.05 0.32 -0.06 0.212
H 2.87963 1.55345 1.68213 0.10 -0.06 0.14 0.207
H 2.27692 0.33832 2.78938 -0.19 0.19 0.30 0.213
H 0.58641 2.17459 2.21336 -0.06 -0.01 -0.19 0.190
H 0.08161 0.13975 -0.03030 0.03 0.16 0.31 0.197
H -2.24342 1.40046 0.92657 0.02 -0.86 -0.38 0.225
H -1.52947 1.98408 -0.61557 -0.15 -0.05 0.04 0.191
H -1.29377 2.74247 0.93798 0.48 0.14 -0.22 0.217
H 0.07766 -2.59703 -2.69710 -0.05 0.18 -0.07 0.465
H -1.31489 -1.87770 -2.73940 0.36 -0.12 0.06 0.492
>>>
Hannah says she’d be interested, so long as she didn’t have to write anything :rolls:
Oooh, this sounds promising then 🙂 Alison, does that mean half term would be out if you already have plans?
PS, you can tell Violet it is less thoughtful and more requiring a vocal sidekick!